The reader should set down only the lines further below with the word "eV" in them.
- - -
Record 1
# C8H32N10O8

A cluster of 8 separate species, C8H32N10O8 in total at a distorted geometry (ωB97M-V with the def2-TZVPD basis set, OMol25).

Geometry as XYZ:
```
58
Properties=species:S:1:pos:R:3
N 1.97 3.44 -1.84
C 2.76 3.78 -2.90
N 3.50 4.91 -2.66
O 2.86 3.10 -3.87
H 1.65 2.51 -1.91
H 2.04 3.84 -0.92
H 4.28 5.04 -3.25
H 3.25 5.48 -1.90
N 3.15 -0.05 3.64
C 3.31 -0.71 2.53
N 4.40 -0.86 1.82
O 2.27 -1.21 2.14
H 3.93 0.34 4.17
H 2.20 -0.15 3.99
H 4.14 -1.26 0.93
H 5.04 -0.08 1.80
N 0.55 -3.29 2.70
C -0.34 -4.18 3.08
N -0.12 -5.35 3.69
O -1.53 -3.90 2.89
H -0.02 -2.54 2.29
H 1.40 -3.11 3.20
H -0.96 -5.88 3.69
H 0.68 -5.92 3.50
N -3.95 -3.13 1.61
C -4.04 -2.36 0.58
N -5.15 -2.44 -0.10
O -3.10 -1.71 0.19
H -3.04 -3.19 2.04
H -4.60 -3.86 1.86
H -5.99 -2.77 0.32
H -5.24 -1.73 -0.81
N -1.63 0.67 -0.96
C -0.61 0.76 -0.11
N -0.65 0.04 1.02
O 0.38 1.50 -0.30
H -1.61 1.19 -1.82
H -2.16 -0.19 -0.94
H -1.39 -0.66 1.10
H 0.24 -0.08 1.50
C -4.62 0.30 -3.28
O -3.51 0.93 -3.91
H -4.38 -0.74 -3.26
H -4.61 0.52 -2.22
H -5.59 0.60 -3.69
H -3.63 1.84 -4.17
C 1.81 3.11 2.11
O 1.45 3.67 0.84
H 2.85 2.82 2.09
H 1.72 3.81 2.93
H 1.12 2.34 2.41
H 0.83 3.07 0.37
C 1.29 0.19 -3.41
O 1.99 -0.05 -4.62
H 0.45 -0.48 -3.32
H 1.90 0.11 -2.52
H 0.81 1.17 -3.31
H 2.23 0.79 -5.00
```

Results
Orbital gap   9.34 eV
Total charge   0
E_HOMO   -8.972 eV



Record 2
# C8H32N14O8

A cluster of 8 separate species, C8H32N14O8 in total at a distorted geometry (ωB97M-V with the def2-TZVPD basis set, OMol25).

Geometry as XYZ:
```
62
Properties=species:S:1:pos:R:3
N 23.01 9.53 17.57
C 23.97 9.10 16.72
N 24.58 10.10 15.99
O 24.24 7.92 16.51
H 22.46 8.93 18.16
H 22.75 10.50 17.62
H 25.37 9.93 15.40
H 24.37 11.07 16.11
N 17.98 8.05 13.44
C 17.75 9.34 13.81
N 16.81 10.03 13.11
O 18.41 9.85 14.74
H 17.33 7.53 12.87
H 18.64 7.51 13.99
H 16.61 10.99 13.35
H 16.24 9.51 12.47
N 22.25 13.47 11.97
C 23.08 13.30 10.88
N 23.48 14.44 10.24
O 23.49 12.18 10.60
H 21.92 12.59 12.34
H 21.88 14.36 12.23
H 23.06 15.35 10.35
H 24.25 14.36 9.60
N 25.20 8.53 12.80
C 24.79 8.17 11.52
N 24.51 9.22 10.68
O 24.65 7.00 11.20
H 25.81 7.88 13.26
H 25.54 9.46 12.97
H 24.45 10.16 11.04
H 23.88 9.01 9.92
N 18.44 10.60 17.90
C 18.95 9.37 18.21
N 18.84 8.46 17.21
O 19.41 9.10 19.32
H 18.62 11.34 18.56
H 18.33 10.81 16.92
H 19.10 7.50 17.30
H 18.67 8.81 16.27
N 19.60 13.58 15.87
C 18.59 14.00 15.04
N 18.79 13.74 13.70
O 17.65 14.67 15.46
H 20.39 13.05 15.55
H 19.53 13.90 16.82
H 19.44 13.01 13.48
H 18.24 14.17 12.98
N 21.63 7.07 13.27
C 21.08 6.57 14.43
N 21.89 6.72 15.51
O 19.96 6.05 14.44
H 21.04 7.15 12.47
H 22.54 7.48 13.34
H 22.85 7.08 15.48
H 21.49 6.63 16.42
C 21.46 10.23 13.68
O 20.81 11.38 14.26
H 20.66 9.66 13.20
H 22.17 10.50 12.90
H 22.01 9.69 14.45
H 19.93 11.10 14.59
```

Results
Orbital gap   9.46 eV
Total charge   0
E_HOMO   -9.472 eV



Record 3
# C8H32N16O8

A cluster of 8 separate species, C8H32N16O8 in total at a distorted geometry (ωB97M-V with the def2-TZVPD basis set, OMol25).

Geometry as XYZ:
```
64
Properties=species:S:1:pos:R:3
N -28.56 -20.41 2.39
C -27.95 -21.49 2.90
N -28.11 -21.58 4.15
O -27.37 -22.40 2.29
H -28.79 -19.70 3.07
H -28.57 -20.08 1.44
H -27.69 -22.34 4.68
H -28.55 -20.86 4.70
N -27.41 -24.33 7.95
C -27.11 -24.82 6.78
N -27.34 -26.11 6.74
O -26.80 -24.12 5.80
H -27.50 -25.01 8.69
H -27.33 -23.32 7.98
H -27.87 -26.31 7.58
H -27.22 -26.67 5.91
N -31.79 -17.23 1.52
C -31.31 -17.49 0.36
N -30.05 -17.43 0.36
O -31.99 -17.60 -0.68
H -32.80 -17.21 1.64
H -31.19 -17.01 2.29
H -29.65 -17.52 -0.56
H -29.41 -17.35 1.15
N -30.82 -19.57 5.87
C -30.48 -18.63 5.09
N -31.07 -17.56 5.57
O -29.71 -18.75 4.12
H -31.13 -19.49 6.83
H -30.82 -20.51 5.52
H -30.95 -16.75 4.99
H -31.69 -17.61 6.37
N -26.00 -20.12 -1.40
C -26.02 -19.43 -0.28
N -26.94 -18.50 -0.28
O -25.29 -19.66 0.75
H -26.54 -19.85 -2.21
H -25.48 -20.99 -1.39
H -27.55 -18.71 -1.06
H -27.28 -18.01 0.53
N -28.66 -24.80 3.21
C -28.23 -26.03 3.07
N -27.01 -26.15 2.60
O -28.91 -26.99 3.33
H -29.66 -24.68 3.29
- - -
Orbital gap   9.34 eV
E_HOMO   -8.972 eV
Orbital gap   9.46 eV
E_HOMO   -9.472 eV